<<<
Record 1
Density functional theory data (wB97M-V/def2-TZVPD) for C40H40BrIrN5O2P as an isolated structure.

Each line ends with the Mulliken spin population.
Atoms and positions in Å:
Ir -0.158066 0.051257 -0.237737  -0.0033
O -0.243005 -1.619780 3.190507  -0.0003
C -1.066406 -0.986117 2.569243  0.0042
O -0.801460 -0.042502 1.701071  0.0040
C -2.540033 -1.123814 2.686625  -0.0030
C -3.090943 -1.712384 3.816136  0.0004
C -4.468715 -1.785914 3.958403  -0.0013
C -5.298631 -1.287217 2.965008  0.0017
C -4.756910 -0.718257 1.819435  -0.0035
C -3.374134 -0.632697 1.668156  0.0007
P -2.797761 0.077789 0.093545  -0.0097
C -3.324485 -1.025245 -1.233946  -0.0023
C -3.887156 -2.271482 -0.948515  0.0022
C -4.283520 -3.111377 -1.982171  0.0003
C -4.117053 -2.719202 -3.300193  -0.0001
C -3.528371 -1.493629 -3.592880  0.0010
C -3.118836 -0.658258 -2.568286  0.0062
C -3.549674 1.696393 -0.067877  0.0010
C -4.289164 2.095219 -1.181943  0.0015
C -4.845797 3.365708 -1.215972  0.0009
C -4.662478 4.239167 -0.153652  0.0000
C -3.931510 3.842946 0.959969  -0.0003
C -3.375583 2.576815 1.003352  0.0012
H -2.427223 -2.097253 4.578872  0.0001
H -4.897545 -2.226162 4.848377  0.0000
H -6.373038 -1.342987 3.076307  -0.0001
H -5.416815 -0.348077 1.043428  -0.0003
H -4.035788 -2.583347 0.076920  0.0001
H -4.734896 -4.066978 -1.753615  0.0001
H -4.447443 -3.365518 -4.101806  -0.0001
H -3.398835 -1.190233 -4.623535  0.0000
H -2.654482 0.290629 -2.805056  0.0005
H -4.472572 1.414641 -2.001713  0.0002
H -5.441867 3.665513 -2.066955  0.0000
H -5.106820 5.224765 -0.184566  0.0000
H -3.813346 4.514130 1.799954  0.0001
H -2.830294 2.260087 1.880149  0.0000
N 2.073239 -0.354722 -0.783840  -0.0003
C 2.833877 -1.357007 0.007545  -0.0056
C 2.167323 -2.719246 -0.076017  0.0012
C 0.795976 -2.775577 0.555869  0.0001
N -0.240488 -2.049822 -0.252489  0.0020
H 2.047051 -0.672015 -1.750358  0.0001
H 2.585703 0.523675 -0.804029  0.0000
H 2.879230 -1.019890 1.043954  0.0020
H 3.859450 -1.433952 -0.359753  -0.0009
H 2.802981 -3.435214 0.446864  -0.0001
H 2.130056 -3.057143 -1.118848  0.0002
H 0.804756 -2.342671 1.552814  -0.0009
H 0.473830 -3.813538 0.654899  -0.0001
H -1.153385 -2.312278 0.120386  0.0004
H -0.235982 -2.436874 -1.193587  0.0001
Br 0.300088 6.363237 4.097804  0.0005
C 0.176627 5.076367 2.745601  0.0059
C -0.277068 3.797519 3.043740  0.0007
C -0.362518 2.843208 2.041041  -0.0026
C -0.010618 3.162389 0.737942  -0.0013
C 0.471613 4.440565 0.450333  -0.0070
C 0.558334 5.397137 1.445711  -0.0013
N -0.103743 2.163701 -0.320705  -0.0012
C -0.249957 2.600944 -1.526948  -0.0010
C -0.224820 1.651684 -2.645071  0.0028
C -0.256165 2.059610 -3.966241  0.0005
C -0.233409 1.093171 -4.966914  -0.0003
C -0.198368 -0.241006 -4.596533  -0.0002
C -0.170878 -0.574323 -3.248414  0.0002
N -0.169354 0.346199 -2.281278  0.0037
H -0.567659 3.550589 4.055618  0.0014
H -0.735424 1.858261 2.264554  0.0055
H 0.837108 4.700242 -0.534380  0.0003
H 0.936808 6.383600 1.217711  0.0008
H -0.430407 3.650431 -1.732495  -0.0004
H -0.291615 3.114454 -4.200432  0.0000
H -0.246731 1.377257 -6.009913  0.0001
H -0.196572 -1.028138 -5.336835  -0.0001
H -0.163229 -1.610699 -2.946192  0.0000
N 2.268267 1.249553 2.620559  0.3261
C 2.988850 2.217779 3.176154  0.1764
C 3.067037 2.305329 4.603610  0.1613
C 3.827397 3.283658 5.173328  -0.0175
C 4.528357 4.193801 4.358966  0.2665
C 4.444677 4.126447 2.952496  -0.0086
C 3.683135 3.164243 2.358793  0.1614
H 1.768339 0.573828 3.186493  -0.0338
H 2.146823 1.181160 1.619126  -0.0492
H 2.525809 1.590088 5.209754  0.0004
H 3.899933 3.359090 6.249081  0.0033
H 5.140380 4.957808 4.818766  0.0051
H 4.992053 4.838085 2.350370  0.0016
H 3.598438 3.102277 1.281454  -0.0001

Atoms 1-3, force components in eV/Å:
Ir -2.5 -0.3 -1.1
O 0.1 0.0 0.2
C -0.1 0.2 -0.2

relative energy (zero: lowest compared OMol25 entry of this formula, charge and spin): 63.3 kcal/mol
<S²>: 0.7783
HOMO (spin up / spin down): -15.82 / -15.82 eV
net charge: +3
2S+1: 2
electronic energy: -4991.40627 hartree
>>>
Your job: quote the entries above from the line with "-4.623535" to the end character by character.
H -3.398835 -1.190233 -4.623535  0.0000
H -2.654482 0.290629 -2.805056  0.0005
H -4.472572 1.414641 -2.001713  0.0002
H -5.441867 3.665513 -2.066955  0.0000
H -5.106820 5.224765 -0.184566  0.0000
H -3.813346 4.514130 1.799954  0.0001
H -2.830294 2.260087 1.880149  0.0000
N 2.073239 -0.354722 -0.783840  -0.0003
C 2.833877 -1.357007 0.007545  -0.0056
C 2.167323 -2.719246 -0.076017  0.0012
C 0.795976 -2.775577 0.555869  0.0001
N -0.240488 -2.049822 -0.252489  0.0020
H 2.047051 -0.672015 -1.750358  0.0001
H 2.585703 0.523675 -0.804029  0.0000
H 2.879230 -1.019890 1.043954  0.0020
H 3.859450 -1.433952 -0.359753  -0.0009
H 2.802981 -3.435214 0.446864  -0.0001
H 2.130056 -3.057143 -1.118848  0.0002
H 0.804756 -2.342671 1.552814  -0.0009
H 0.473830 -3.813538 0.654899  -0.0001
H -1.153385 -2.312278 0.120386  0.0004
H -0.235982 -2.436874 -1.193587  0.0001
Br 0.300088 6.363237 4.097804  0.0005
C 0.176627 5.076367 2.745601  0.0059
C -0.277068 3.797519 3.043740  0.0007
C -0.362518 2.843208 2.041041  -0.0026
C -0.010618 3.162389 0.737942  -0.0013
C 0.471613 4.440565 0.450333  -0.0070
C 0.558334 5.397137 1.445711  -0.0013
N -0.103743 2.163701 -0.320705  -0.0012
C -0.249957 2.600944 -1.526948  -0.0010
C -0.224820 1.651684 -2.645071  0.0028
C -0.256165 2.059610 -3.966241  0.0005
C -0.233409 1.093171 -4.966914  -0.0003
C -0.198368 -0.241006 -4.596533  -0.0002
C -0.170878 -0.574323 -3.248414  0.0002
N -0.169354 0.346199 -2.281278  0.0037
H -0.567659 3.550589 4.055618  0.0014
H -0.735424 1.858261 2.264554  0.0055
H 0.837108 4.700242 -0.534380  0.0003
H 0.936808 6.383600 1.217711  0.0008
H -0.430407 3.650431 -1.732495  -0.0004
H -0.291615 3.114454 -4.200432  0.0000
H -0.246731 1.377257 -6.009913  0.0001
H -0.196572 -1.028138 -5.336835  -0.0001
H -0.163229 -1.610699 -2.946192  0.0000
N 2.268267 1.249553 2.620559  0.3261
C 2.988850 2.217779 3.176154  0.1764
C 3.067037 2.305329 4.603610  0.1613
C 3.827397 3.283658 5.173328  -0.0175
C 4.528357 4.193801 4.358966  0.2665
C 4.444677 4.126447 2.952496  -0.0086
C 3.683135 3.164243 2.358793  0.1614
H 1.768339 0.573828 3.186493  -0.0338
H 2.146823 1.181160 1.619126  -0.0492
H 2.525809 1.590088 5.209754  0.0004
H 3.899933 3.359090 6.249081  0.0033
H 5.140380 4.957808 4.818766  0.0051
H 4.992053 4.838085 2.350370  0.0016
H 3.598438 3.102277 1.281454  -0.0001

Atoms 1-3, force components in eV/Å:
Ir -2.5 -0.3 -1.1
O 0.1 0.0 0.2
C -0.1 0.2 -0.2

relative energy (zero: lowest compared OMol25 entry of this formula, charge and spin): 63.3 kcal/mol
<S²>: 0.7783
HOMO (spin up / spin down): -15.82 / -15.82 eV
net charge: +3
2S+1: 2
electronic energy: -4991.40627 hartree